There have been outrageous abuses of power before and during the Olympic Games in London this year. These include a police attack on, and mass arrests during, a "critical mass" bike ride, the placing of missiles on civilian roofs despite protests by affected residents, and special “Olympic lanes” on roads whose use is limited those granted special permission by games organisers.
The overwhelming feeling in Britain appears to be national pride that such an Olympics was pulled off so successfully. Part of this is tied to Britain's sporting success at the games. (This is the reason why the British government has pumped tens of millions of pounds into sports such as rowing.) The "feel good factor" of the Olympics depends a lot on the success of the host nation.
The Olympics, as a huge event that everyone experiences at once, can give a feeling of commonality and leads to a temporary breakdown of certain aspects of alienation. My experience of the Sydney 2000 Olympics was exactly that ― strangers could speak with each other, public transport was free and the city felt "nicer".
It certainly compared starkly with events such as the 2007 APEC summit, during which Sydney became a virtual ghost town.
In this context, the idea that everyone from top to bottom is united by their nationality can be believed. This has been fostered from the very beginning, including in the much-lauded opening ceremony.
It is true that director Danny Boyle's show promoted the idea of an “inclusive nationalism”. Britain was promoted as a multicultural society that accepted diversity. It also took a veiled swipe at those seeking to destroy the National Health Service but this coincided with a loving tribute to the monarchy.
This was too much for many on the right. Tory MP Aidan Burley referred to it as “leftie multicultural crap”.
The right-wing Daily Mail, for its part, complained: “This was supposed to be a representation of modern life in England, but it is likely to be a challenge for the organisers to find an educated white middle-aged mother and black father living together with a happy family in such a set-up."
Its main purpose, however, remained a promotion of British pride.
Every major event at the Olympics has seemed to involve the camera panning to Prince William, Prince Harry, Kate Middleton, Prime Minister David Cameron or chair of the London Organising Committee Lord Sebastian Coe. They were cheering along with everyone else, creating an impression of shared interests with ordinary British sports fans.
Sometimes this crossed national boundaries. Harry was shown busting a lung in support of Usain Bolt, the most popular figure of the Olympics.
It was here where the elite coup occurred. The ruling elites are being lauded as they presided over an event that will see billions of public money being transferred to the biggest multinationals while the same elites are engaged in cutting billions from the most essential of services.
The Guardian provided the figures for the spending and overall, the public will have spent US$13.8 billion on the games. The private sector has contributed $3.1 billion ― $1 billion of which goes directly to the International Olympic Committee.
A lot of direct money for the games went to large building, legal and security firms. But the major sponsors such as Coca Cola and McDonald's expect to make a bonanza by associating themselves with the most popular event on the planet.
This expectation was supported by credit agency Moody's. It said in its report on the Olympics: “Overall, we think the Games are unlikely to provide a substantial macroeconomic boost to the UK during 2012. However, a number of individual sectors and credits look well placed to benefit from the short-term fillip that the Games should provide.”
The agency said: “Moody's expects that corporate sponsors will benefit most from the Games.”
As part of its bid for the games, the government allowed for all profits made from the event to be tax free. HM Revenue and Customs ― Britain's tax collection agency ― explained: “There is a temporary exemption from UK Corporation Tax and UK Income Tax for certain non-resident companies that engage in Games-related activities or provide services for the delivery of the London 2012 Games.”
## Records of crystals that have nothing to do with the text
+++
Run A
ZrPt4 after structural relaxation, computed with GGA-PBE.

Calculated values
Space-group type   Imma (74)

Cell lengths 7.8999, 7.8999, 7.8999 Å; angles 149.37, 137.97, 52.89 degrees
Atoms (fractional coordinates):
Zr  0.3592  0.1092  0.2500
Zr  0.6408  0.8908  0.7500
Pt  0.0000  0.5000  0.5000
Pt  0.1533  0.9033  0.2500
Pt  0.1830  0.6918  0.4912
Pt  0.2993  0.3082  0.9912
Pt  0.5000  0.5000  0.0000
Pt  0.7007  0.6918  0.0088
Pt  0.8170  0.3082  0.5088
Pt  0.8467  0.0967  0.7500

=====

Run B
ZrPt4 after structural relaxation, computed with GGA-PBE.

Calculated values
Space-group type   I4/mmm (139)

Cell lengths 3.7133, 3.7133, 13.2323 Å; angles 90.00, 90.00, 90.00 degrees
Atoms (fractional coordinates):
Zr  0.0000  0.0000  0.0000
Zr  0.5000  0.5000  0.5000
Pt  0.0000  0.0000  0.4025
Pt  0.0000  0.0000  0.5975
Pt  0.0000  0.5000  0.2500
Pt  0.0000  0.5000  0.7500
Pt  0.5000  0.0000  0.2500
Pt  0.5000  0.0000  0.7500
Pt  0.5000  0.5000  0.0975
Pt  0.5000  0.5000  0.9025

=====

Run C
ZrPt4 after structural relaxation, computed with GGA-PBE.

Calculated values
Space-group type   I4/m (87)

Cell lengths 6.4083, 6.4083, 4.0550 Å; angles 90.00, 90.00, 90.00 degrees
Atoms (fractional coordinates):
Zr  0.0000  0.0000  0.0000
Zr  0.5000  0.5000  0.5000
Pt  0.0982  0.3024  0.5000
Pt  0.1976  0.5982  0.0000
Pt  0.3024  0.9018  0.5000
Pt  0.4018  0.1976  0.0000
Pt  0.5982  0.8024  0.0000
Pt  0.6976  0.0982  0.5000
Pt  0.8024  0.4018  0.0000
Pt  0.9018  0.6976  0.5000

=====

Stability comparison, relative energies in meV per atom: run A 0; run B 340; run C 76

=====

Run A
Rb2PuS3 after structural relaxation, computed with GGA-PBE.

Calculated values
Space-group type   C2/m (12)

Cell lengths 7.3836, 7.3836, 8.0767 Å; angles 99.02, 99.02, 119.92 degrees
Atoms (fractional coordinates):
Rb  0.0000  0.0000  0.0000
Rb  0.1535  0.8465  0.5000
Rb  0.5000  0.5000  0.5000
Rb  0.8465  0.1535  0.5000
Pu  0.3325  0.6675  0.0000
Pu  0.6675  0.3325  0.0000
S  0.0675  0.4550  0.1957
S  0.3198  0.3198  0.8073
S  0.4550  0.0675  0.1957
S  0.5450  0.9325  0.8043
S  0.6802  0.6802  0.1927
S  0.9325  0.5450  0.8043

=====

Run B
Rb2PuS3 after structural relaxation, computed with GGA-PBE.

Calculated values
Space-group type   Cmcm (63)

Cell lengths 9.2220, 9.2220, 5.8370 Å; angles 90.00, 90.00, 66.27 degrees
Atoms (fractional coordinates):
Rb  0.0445  0.3042  0.2500
Rb  0.3042  0.0445  0.7500
Rb  0.6958  0.9555  0.2500
Rb  0.9555  0.6958  0.7500
Pu  0.3562  0.6438  0.2500
Pu  0.6438  0.3562  0.7500
S  0.0786  0.6546  0.2500
S  0.3454  0.9214  0.2500
S  0.3801  0.6199  0.7500
S  0.6199  0.3801  0.2500
S  0.6546  0.0786  0.7500
S  0.9214  0.3454  0.7500

=====

Stability comparison, relative energies in meV per atom: run A 0; run B 186
+++
## So much for the records of crystals
After a public campaign against this tax break at a time of economic crisis, many of the largest companies declined to take it up. But many others will be taking full advantage.
The Guardian reported on July 18: “The new legislation also exempts foreign nationals working on the games in the UK from paying income tax on any earnings. That includes journalists, representatives of official games bodies, judges and the athletes themselves.”
That the Olympics aren't going to lift Britain out of a recession is clear. The Guardian reported on August 8: “The Bank of England's governor Sir Mervyn King hinted at further action to boost the ailing UK economy on Wednesday after the Bank slashed its 2012 growth forecast to zero.”
It is also becoming clear who will be made to pay for the games. Among others, it will be those with mental health problems. The Guardian said on August 7: “Total government expenditure on services is down by £150m, the first reduction since 2001”.
It said: “The Association of Directors of Adult Social Services (Adass) showed that in the past two years social care budgets had lost £1.89bn in funding.”
The Guardian reported on June 14 that even young kids inspired by the Olympics to play sport faced the effects of cuts: “In 2010 the education secretary, Michael Gove, threatened to axe £162m in ringfenced funding for a national network of School Sports Partnerships. In the wake of an outcry from athletes, pupils and opposition MPs, David Cameron ordered a partial U-turn, but the ringfenced funding was still cut by 69% and only guaranteed until 2013.”
But pointing out this ugly reality behind the hype is not easy, as the former lead singer of The Smiths, Morrissey, found out after he made critical comments.
He wrote in a letter to his fan club “I am unable to watch the Olympics due to the blustering jingoism that drenches the event. Has England ever been quite so foul with patriotism? The 'dazzling royals' have, quite naturally, hi-jacked the Olympics for their own empirical needs, and no oppositional voice is allowed in the free press. It is lethal to witness.
“As London is suddenly promoted as a super-wealth brand, the England outside London shivers beneath cutbacks, tight circumstances and economic disasters. Meanwhile the British media present 24-hour coverage of the 'dazzling royals', laughing as they lavishly spend, as if such coverage is certain to make British society feel fully whole.”
Morrissey, with a track record of controversy-generating comments (including, in recent years, comments marred by racism) predictably generated a huge social media backlash.
Hysteria notwithstanding, Morrissey managed to get to the heart of the matter (possibly for the first time in many years): these games having been a coup for Britain's ruling elite. They have done what Cameron wanted them to do ― provide a boost to the idea of an all inclusive “Britishness” in a time of austerity.
This is a contradictory phenomenon. A lot of the goodwill associated with the games is based on the sense of wanting to live in a real community, where there is less social alienation. But those of us in Australia can remember that it was not that long until the “goodwill” of the 2000 games had been transformed into the political elites unleashing a racist assault upon immigrants arriving in this country, most heightened with the arrival of the MV Tampa.
There have been amazing athletic performances at the games, some of which point towards the benefits of an inclusive Britain. Two of the most watched events in the games were gold winning performances by a Somali immigrant to Britain, Mo Farah, and the child of an immigrant, Jessica Ennis.
US writer Mike Marqusee pointed out: “I find no difficulty thoroughly enjoying the best of the competition without compromising for a moment a necessarily critical perspective on what the Olympic enterprise has become."
It is possible to both be thoroughly enthralled by Usain Bolt's athletic prowess and appalled that the political establishment are seeking to use those events and others to prop up a rule providing seemingly endless misery for the people of Britain and elsewhere.